New Gameplay video

Seriously, the door that leads to the outside, the whole sequence is pretty much EXACTLY like oblivion.


dig the music though, and the enviroment is not that horrible.

/*
The following is a PBE calculation of a relaxed structure of NbAlSiS2O12, from the Materials Project.

```
NbAlSiS2O12
1.0
-5.4567 -6.1207 -2.7492
8.4824 -0.7572 -1.5470
2.6441 -11.0114 19.2667
Nb Al Si S O
6 6 6 12 72
Cartesian
1.8155 -7.1292 12.2967
0.4820 -1.6362 2.6576
1.7845 -14.9568 16.4711
0.3351 -9.5941 6.7736
4.6656 -5.9532 3.9654
5.9989 -11.4463 13.6044
-4.3387 -9.9622 4.1461
2.2147 -9.6000 16.4152
1.0492 -11.9532 10.8740
-0.2520 -6.4241 1.2511
3.9267 -2.7539 -1.4680
5.1706 -8.3472 8.1260
-2.2843 -8.9778 1.7345
2.7216 -10.3513 13.2240
-0.6451 -12.6305 8.0948
1.1223 -3.6594 0.0180
8.6455 -12.7552 15.4329
5.6405 -9.1372 4.9516
-0.8131 -4.5405 4.0390
2.7385 -7.7275 1.7497
2.6227 -14.8460 10.6587
-1.8656 -12.7098 12.4760
-0.2168 -8.8250 10.1234
3.1667 -10.9349 8.4928
0.2254 -7.2455 -1.9564
-3.0026 -4.9612 -0.2475
4.7792 -14.4553 14.8648
5.3249 -10.6984 16.9606
2.5140 -6.8627 6.5771
6.5986 -5.4259 6.8142
-0.0474 -4.6144 5.2769
2.9841 -9.0362 2.3571
-3.1129 -9.4059 3.0199
2.4194 -10.1890 14.7746
3.5978 -15.3364 11.6336
-2.1401 -13.9504 13.1898
5.7198 -13.2867 9.7381
2.5585 -8.7954 12.5662
8.6738 -8.4494 12.0816
3.1453 -7.6620 0.3289
2.0134 -2.4182 3.3244
7.8032 -3.9612 1.8205
0.1666 -12.6049 9.4625
0.0557 -10.1307 10.7165
2.5197 -11.2610 9.7705
-0.1278 -7.2421 -0.5307
-2.0189 -5.4692 0.7040
0.7163 -4.9997 0.7721
0.0953 -3.4619 -1.2939
0.0315 -5.9107 -2.5787
-2.4013 -4.7353 -1.6025
0.2476 -8.7527 8.6993
2.1847 -10.4841 7.4734
-0.5045 -11.1234 7.3712
5.5516 -14.5494 16.0981
5.5269 -12.0255 17.5501
7.8617 -13.2385 16.7274
5.3931 -9.0189 6.5163
3.5039 -7.3061 7.5635
6.3453 -6.6705 7.5308
5.6596 -5.2312 5.6588
5.4941 -7.6337 4.2640
3.1514 -6.5695 5.2543
5.7236 -10.6730 15.5176
7.5487 -12.3177 14.2665
4.8774 -13.0972 14.2319
7.9802 -5.3038 6.3818
4.8047 -10.2131 4.1459
1.7777 -5.6943 7.0561
3.9392 -10.2583 17.1124
9.7592 -11.6445 15.6094
5.1252 -15.4949 13.9107
-2.2821 -12.5973 8.4868
0.6156 -7.7507 10.7998
3.8197 -12.1632 7.9370
1.6784 -7.5765 -2.1092
-4.0637 -6.0107 -0.5250
0.6018 -2.3739 0.9725
-0.4653 -12.5670 12.1133
1.8552 -11.3215 12.3199
1.9156 -13.6859 11.1905
1.3450 -7.3373 1.9358
-1.2319 -7.7956 1.7972
-0.5096 -5.6282 3.1236
3.2954 -14.5634 15.1909
0.7674 -15.8204 14.8665
0.8712 -13.3693 16.2785
-1.1916 -8.6945 6.2720
1.5426 -7.9622 6.2898
0.8051 -10.3680 4.9690
2.6004 -3.3714 -0.4668
4.8718 -2.1344 0.1056
4.8031 -4.5402 -1.2834
6.8705 -9.2098 8.7255
4.1789 -9.9004 8.7237
5.0502 -7.6122 9.7347
6.1853 -5.3332 2.8140
3.5989 -6.6664 2.4262
3.8597 -4.2355 3.8604
4.3428 -10.6823 13.0710
7.0358 -9.8000 13.1251
6.2169 -12.2865 11.7971
```

Output
Energy of formation from the pure elements = -2.52 eV/atom
Space-group type = No. 9
Uncorrected energy = -7.146 eV/atom
Energy with MP2020 corrections = -7.631 eV/atom

=====

# Pr2Ge2Ru GGA-PBE optimized geometry
# Formation energy from the elements: -0.7120 eV per atom
# Total magnetization: 0.01 Bohr magnetons per cell
data_Pr2Ge2Ru
_chemical_formula_sum 'Pr8 Ge8 Ru4'
*/

textures need some work though
Realistically, how much do you think they're going to change in the next two months (or less).

Not much, I would say.
this is the most hopeful thing i've seen thus far...but i'm far from wasting the energy it used to take to cross my fingers.

i really feel like the most fun i'll get out of this game will be for the exact reasons i make fun of Oblivionites and dungeon nerds. only real difference being that i'm a desicated wasteland nerd, and that sucks to sit and feel like that's as good as it'll get.
TwinkieGorilla said:
this is the most hopeful thing i've seen thus far...but i'm far from wasting the energy it used to take to cross my fingers.

i really feel like the most fun i'll get out of this game will be for the exact reasons i make fun of Oblivionites and dungeon nerds. only real difference being that i'm a desicated wasteland nerd, and that sucks to sit and feel like that's as good as it'll get.

You make it sounds like Bethesda is forcing you to buy it.
Uhn... anyone got any idea how the guy go out of the vault, i mean if he go out with a mission for the vault people or he just stole the keys of the car, sorry vault and go out...

I mean it will not make sense if he go out "sneak" and no one notice that the door was open...
Drakehash said:
Uhn... anyone got any idea how the guy go out of the vault, i mean if he go out with a mission for the vault people or he just stole the keys of the car, sorry vault and go out...

I mean it will not make sense if he go out "sneak" and no one notice that the door was open...

I am betting on multiple paths out... talk..steal..hack..fight probably. Since it is in the main story arc.. I am sure they have at least a few solutions to it.. not saying I believe all the quests have that many solutions.. but if I were a betting man I would say they probably have many ways to get out because it's the first "quest" you get and they will want to emphasis "options".. even if later it gets more constrained.
BowserJesus said:
You make it sounds like Bethesda is forcing you to buy it.

first, i'd like you to look closely at the moderately confused look on my face.

ok seriously...what now??? this is a game which for all intents and purposes is one that i've been hoping to play since news of VanBuren first began. meaning, Fallout 3, a successor to the series that i love. who said anything about "buying" or "forcing" (really though...aside from you, who?)??? i'm saying...this is the best we have to look forward to right now as a new "Fallout" and the best looks pretty goddamn "meh" worthy.
Xenophile said:
Drakehash said:
Uhn... anyone got any idea how the guy go out of the vault, i mean if he go out with a mission for the vault people or he just stole the keys of the car, sorry vault and go out...

I mean it will not make sense if he go out "sneak" and no one notice that the door was open...

I am betting on multiple paths out... talk..steal..hack..fight probably. Since it is in the main story arc.. I am sure they have at least a few solutions to it.. not saying I believe all the quests have that many solutions.. but if I were a betting man I would say they probably have many ways to get out because it's the first "quest" you get and they will want to emphasis "options".. even if later it gets more constrained.

[Between two parts of the text: data records]
<<<
1.
LiVSe2: relaxed, PBE-GGA.

Computed properties:
- size of the total moment (μB per formula unit) = 2.0

The structure in CIF format:
```
data_LiVSe2
_chemical_formula_sum 'Li1 V1 Se2'
_space_group_name_H-M_alt 'P -3 m 1'
_space_group_IT_number 164
_space_group_name_Hall '-P 3 2"'
_cell_length_a 3.5342
_cell_length_b 3.5342
_cell_length_c 6.4592
_cell_angle_alpha 90.00
_cell_angle_beta 90.00
_cell_angle_gamma 120.00
loop_
_atom_site_label
_atom_site_type_symbol
_atom_site_fract_x
_atom_site_fract_y
_atom_site_fract_z
Li1 Li 0.0000 0.0000 0.0000
V1 V 0.0000 0.0000 0.5000
Se1 Se 0.3333 0.6667 0.7333
```



2.
BiSb3F20: relaxed, PBE-GGA.

The structure in CIF format:
```
data_BiSb3F20
_chemical_formula_sum 'Bi2 Sb6 F40'
_space_group_name_H-M_alt 'C 1 2 1'
_space_group_IT_number 5
_cell_length_a 10.215
_cell_length_b 14.832
_cell_length_c 5.621
_cell_angle_alpha 90.00
_cell_angle_beta 92.00
_cell_angle_gamma 90.00
loop_
_space_group_symop_operation_xyz
'x,y,z'
'-x,y,-z'
'x+1/2,y+1/2,z'
'-x+1/2,y+1/2,-z'
loop_
_atom_site_label
_atom_site_type_symbol
_atom_site_fract_x
_atom_site_fract_y
_atom_site_fract_z
Bi1 Bi 0.000 0.000 0.000
Sb1 Sb 0.000 0.404 0.000
Sb2 Sb 0.249 0.706 0.242
F1 F 0.096 0.388 0.287
F2 F 0.103 0.021 0.305
F3 F 0.115 0.298 0.883
F4 F 0.118 0.486 0.869
F5 F 0.119 0.116 0.881
F6 F 0.128 0.916 0.854
F7 F 0.141 0.206 0.484
F8 F 0.144 0.609 0.341
F9 F 0.144 0.802 0.340
F10 F 0.181 0.706 0.927
```



3.
Na2Sr3P4: relaxed, PBE-GGA.

Computed properties:
- distance to the lowest polymorph of the same formula (meV per atom) = 122.1
- size of the total moment (μB per formula unit) = 0.0

The structure in CIF format:
```
data_Na2Sr3P4
_chemical_formula_sum 'Na8 Sr12 P16'
_space_group_name_H-M_alt 'P 1 21/c 1'
_space_group_IT_number 14
_cell_length_a 9.472
_cell_length_b 9.068
_cell_length_c 13.502
_cell_angle_alpha 90.00
_cell_angle_beta 124.41
_cell_angle_gamma 90.00
loop_
_space_group_symop_operation_xyz
'x,y,z'
'-x,-y,-z'
'-x,y+1/2,-z+1/2'
'x,-y+1/2,z+1/2'
loop_
_atom_site_label
_atom_site_type_symbol
_atom_site_fract_x
_atom_site_fract_y
_atom_site_fract_z
Na1 Na 0.149 0.210 0.363
Na2 Na 0.279 0.537 0.314
Sr1 Sr 0.106 0.665 0.935
Sr2 Sr 0.251 0.047 0.066
Sr3 Sr 0.427 0.546 0.855
P1 P 0.039 0.517 0.693
P2 P 0.241 0.121 0.612
P3 P 0.478 0.230 0.777
P4 P 0.483 0.725 0.543
```



4.
CdFe3Sn2S8: relaxed, PBE-GGA.

Computed properties:
- size of the total moment (μB per formula unit) = 0.0

The structure in CIF format:
```
data_CdFe3Sn2S8
_chemical_formula_sum 'Cd2 Fe6 Sn4 S16'
_space_group_name_H-M_alt 'I m m 2'
_space_group_IT_number 44
_cell_length_a 7.134
_cell_length_b 7.408
_cell_length_c 10.284
_cell_angle_alpha 90.00
_cell_angle_beta 90.00
_cell_angle_gamma 90.00
loop_
_space_group_symop_operation_xyz
'x,y,z'
'-x,-y,z'
'-x,y,z'
'x,-y,z'
'x+1/2,y+1/2,z+1/2'
'-x+1/2,-y+1/2,z+1/2'
'-x+1/2,y+1/2,z+1/2'
'x+1/2,-y+1/2,z+1/2'
loop_
_atom_site_label
_atom_site_type_symbol
_atom_site_fract_x
_atom_site_fract_y
_atom_site_fract_z
>>>

This mean the security of the most important thing of the vault (the door) is just zero?? this mean, in 200 years anyone could go out when he want... kinda weird, i was thinking that the overseer is the only one with the key code and there is to be some BIG security protocol for protect it, also knowing that someone recently scape from the vault mean there have to be more security on the door. Also as a new player lvl 1 going out of the vault you lack of BIG numbers of a skill on most expertise soo how the hell he go out, lets wait the review :D...

This game is beginning with the left foot...

Sorry for my English, i hope someone understand my point :D
TwinkieGorilla said:
BowserJesus said:
You make it sounds like Bethesda is forcing you to buy it.

first, i'd like you to look closely at the moderately confused look on my face.

ok seriously...what now??? this is a game which for all intents and purposes is one that i've been hoping to play since news of VanBuren first began. meaning, Fallout 3, a successor to the series that i love. who said anything about "buying" or "forcing" (really though...aside from you, who?)??? i'm saying...this is the best we have to look forward to right now as a new "Fallout" and the best looks pretty goddamn "meh" worthy.

If i were you, i were beginning to think and pray that someone take this game and do a good mod that resemble something near to the fallout world, i am sure you will find lot of stuff in this game that will make you think that is more a elder scroll game than a fallout game... it is clear that this game is made for those who love oblivion, soo if you are one of those, be happy, if not cross your fingers like me.
TwinkieGorilla said:
this is the best we have to look forward to right now as a new "Fallout" and the best looks pretty goddamn "meh" worthy.
LIAR!!! You have Age of Decadence to look forward to, and you have vapor-ware Afterfall! Of course those two are independent, but so what? Does it means they'll be worse games?
Drakehash said:
Uhn... anyone got any idea how the guy go out of the vault, i mean if he go out with a mission for the vault people or he just stole the keys of the car, sorry vault and go out...

As already noted, this is described in the NMA preview:

Hines announces the PC's father, who was always there for him, has suddenly disappeared. This "is pretty jarring to me, because it's my dad." It's also jarring to the residents of the vault, because in 200 years nobody has entered or left the vault. So you must leave the vault on the dual motive of figuring out why your father left and because the Overseer heavily suspects your involvement, sending "his goons after me."

The PC uses a terminal. Normally it would require finishing a quest to get the non-random password. I assume that you can't type in the password even if you know it, as console controls have no typing, meaning you'll always have to figure it out even if the player knows it (because the PC doesn't).

Entering the password starts a door animation which is very different from the originals. A large, steampunkish robot arm with a pole/key extension is inserted into the upper-left corner of the door, and rolls it out to the right. As the PC leaves, the guards cry out "he's opening the door!" and call for someone to warn the overseer, draw their batons, but don't really do anything otherwise (not even moving). It is to be noted that it is possible to review and change some things about your character when you leave the vault, a kind of "finalization" procedure.
TwinkieGorilla said:
BowserJesus said:
You make it sounds like Bethesda is forcing you to buy it.

first, i'd like you to look closely at the moderately confused look on my face.

ok seriously...what now??? this is a game which for all intents and purposes is one that i've been hoping to play since news of VanBuren first began. meaning, Fallout 3, a successor to the series that i love. who said anything about "buying" or "forcing" (really though...aside from you, who?)??? i'm saying...this is the best we have to look forward to right now as a new "Fallout" and the best looks pretty goddamn "meh" worthy.

Dude, where have you been in the last 10 years? :shock:

If the game is called "Fallout 3", and even if it's made by some other game developer (not the one who made the originals), it doesn't mean it is a true "Fallout 3" because it's called like that.

And yes, you sound like they are forcing you to buy this game. Probably because it's named "Fallout", and maybe you think you should accept the way the new Fallout looks.
But dude, you don't have to.

Attached: data records.
........
Entry from the Materials Project: Be15Nb6Ni8 after structural relaxation (r²SCAN).

Calculated values
size of the total moment: 0.000 μB per cell
space-group type: Fm-3m (225)
calculated total energy: -320.8 eV per cell
energy relative to the elements: -0.3945 eV/atom

Unit cell a=7.552 b=7.552 c=7.552 alpha=60.00 beta=60.00 gamma=60.00
Sites, in units of the cell vectors:
1 Be 0.326 0.326 0.326
2 Be 0.674 0.674 0.674
3 Be 0.326 0.326 0.022
4 Be 0.326 0.022 0.326
5 Be 0.674 0.674 0.978
6 Be 0.674 0.978 0.674
7 Be 0.022 0.326 0.326
8 Be 0.978 0.674 0.674
9 Be 0.500 0.000 0.000
10 Be 0.000 0.500 0.500
11 Be 0.000 0.500 0.000
12 Be 0.500 0.000 0.500
13 Be 0.000 0.000 0.500
14 Be 0.500 0.500 0.000
15 Be 0.000 0.000 0.000
16 Nb 0.703 0.297 0.297
17 Nb 0.297 0.703 0.703
18 Nb 0.297 0.703 0.297
19 Nb 0.703 0.297 0.703
20 Nb 0.297 0.297 0.703
21 Nb 0.703 0.703 0.297
22 Ni 0.122 0.122 0.122
23 Ni 0.878 0.878 0.878
24 Ni 0.122 0.122 0.633
25 Ni 0.122 0.633 0.122
26 Ni 0.878 0.878 0.367
27 Ni 0.878 0.367 0.878
28 Ni 0.633 0.122 0.122
29 Ni 0.367 0.878 0.878

---

Entry from the Materials Project: PrInAu after structural relaxation (r²SCAN).

Calculated values
size of the total moment: 0.000 μB per cell
space-group type: P-62m (189)
calculated total energy: -315.3 eV per cell
energy relative to the elements: -0.8446 eV/atom

Unit cell a=7.844 b=7.844 c=4.188 alpha=90.00 beta=90.00 gamma=120.00
Sites, in units of the cell vectors:
1 Pr 0.000 0.588 0.500
2 Pr 0.588 0.000 0.500
3 Pr 0.412 0.412 0.500
4 In 0.000 0.250 0.000
5 In 0.250 0.000 0.000
6 In 0.750 0.750 0.000
7 Au 0.000 0.000 0.500
8 Au 0.667 0.333 0.000
9 Au 0.333 0.667 0.000

---

Entry from the Materials Project: Ba5Si3 after structural relaxation (r²SCAN).

Calculated values
size of the total moment: 0.548 μB per cell
space-group type: P4/ncc (130)
calculated total energy: -647.6 eV per cell
energy relative to the elements: -0.3857 eV/atom

Unit cell a=8.543 b=8.543 c=16.641 alpha=90.00 beta=90.00 gamma=90.00
Sites, in units of the cell vectors:
1 Ba 0.053 0.919 0.110
2 Ba 0.919 0.447 0.110
3 Ba 0.250 0.250 0.719
4 Ba 0.081 0.947 0.390
5 Ba 0.419 0.947 0.890
6 Ba 0.947 0.419 0.390
7 Ba 0.419 0.553 0.390
8 Ba 0.919 0.053 0.610
9 Ba 0.081 0.553 0.890
10 Ba 0.947 0.081 0.890
11 Ba 0.250 0.250 0.219
12 Ba 0.581 0.447 0.610
13 Ba 0.053 0.581 0.610
14 Ba 0.553 0.081 0.390
15 Ba 0.553 0.419 0.890
16 Ba 0.581 0.053 0.110
17 Ba 0.750 0.750 0.281
18 Ba 0.750 0.750 0.781
19 Ba 0.447 0.581 0.110
20 Ba 0.447 0.919 0.610
21 Si 0.851 0.351 0.750
22 Si 0.149 0.851 0.750
23 Si 0.750 0.750 0.990
24 Si 0.351 0.851 0.250
25 Si 0.250 0.250 0.010
26 Si 0.851 0.149 0.250
27 Si 0.351 0.649 0.750
28 Si 0.649 0.149 0.750
29 Si 0.149 0.649 0.250
30 Si 0.649 0.351 0.250
31 Si 0.250 0.250 0.510
32 Si 0.750 0.750 0.490
........

I would be happy to play this game, if there is no "Fallout" title on it... coz I like shooters! But I'm sick of shooters. We have loads of them on the market :evil:
Public said:
Dude, where have you been in the last 10 years? :shock:

ohhh-kayyyy??? you guys are all missing my point and have maybe joined the message boards in my recent bout of silence over this abortion of a game or are just n00bs to my posts. i've been perma-banned from the official site twice in the past year...i think i'm pretty well aware that i don't like the game and i don't have to like the game.

anyway, again...fallout 3 as the "officially" titled successor to fallouts 1 & 2 has the appearance of a horribly sub-par successor, and this is a travesty. what i am upset about is the fact that we will most likely never "officially" see a true successor. i'm not talking about mods. i'm not talking about fan-made anything. i'm talking about a publicly released game you see in stores. get me?

nobody's talking about buying it. nobody's talking about being forced into anything. i'll go ahead and say i am in NO WAY considering purchasing this game. ok? and yes, i'm sure i'll play it to satisfy some base curiosity if nothing else but right now i should be pissing my pants with anticipation...not shrugging my shoulders, which is exactly what happens anytime i see new screens or footage. how hard is it to comprehend a fan of the previous games being bummed out that he cannot find the effort to get excited about what bethesda is showing so far? not really the point and it's kinda disappointing to see a simple sentiment get so misinterpreted.
Look, this is a fascinating discussion and all, but drop it already, ok? Not that isn't a great talk, but it's not really going anywhere. Take it to pm's if you think it's of interest to anyone.
Didn't like it.

In regards to the vastness of the world here is my take. F1 and F2 had vast worlds but they didn't inundate you with it. Thats why the world map, although big, didn't have anything going on. It was when you hit a "encounter", that the game would open up part of that empty world to let you explore.

In the end the biggest problem I have is the fact that no matter how vast of an environment you have, it won't mean shit when everything in it does nothing. I mean sure its fucking great to see a realistic forest the first few times but then it gets fucking boring cause we have all seen forests, rocks, mountains or what the hell ever. The NPCs are dumb, the quests were dumb, and gameplay in Morrowind was pretty basic. No matter how good things look, shits going to get old fast when graphics is the only selling point for a game.

And yes VATS to me looks like Beth trying to sound like they created something original when shit like bullet time was already done to death with the matrix and max payne. If anything its some cheesy pause scheme for players who don't excel at twitch gaming who need some sort of chance to survive. Not turn based at all but a simple pause to allow those who are less adept at FPS manage to get something done before getting mowed down by gunfire from every nook and cranny.

Come to think of it with a birds eye view like iso you can see where shit is coming from. In first person its just a reaction fest of looking all around you hoping to get a glance of the shooter while hes camouflaged with the rest of the boring looking rubble.
DarkCorp said:
but then it gets fucking boring cause we have all seen forests, rocks, mountains or what the hell ever.
And the only alternative for this that Bethesda is putting in is a fast travel system which basically amounts to a slow teleport. No encounters, no danger, just some time instantly passes. Yep, straight from Oblivion. It's for the people who apparently like the game but dislike going to the trouble of actually playing it.